~~~
C4H9O2S | ωB97M-V/def2-TZVPD

Values from the calculation:
energy = -706.28438 Ha
total charge = -1
energy above the lowest of the compared OMol25 structures with the same formula, charge and spin = 692.0 kJ/mol
frontier orbital gap (spin up / spin down) = 6.57 / 5.19 eV

Cartesian coordinates (Å):
C1 -1.8000 -2.4351 0.8690
C2 1.2668 2.7257 -0.9124
C3 -0.0414 2.3855 -0.3951
C4 0.1373 -1.1188 0.3984
O1 0.2513 -3.1722 2.1812
O2 0.3086 -3.6531 -0.2374
S1 -0.1039 -2.7749 0.8536
H1 -2.0003 -1.3125 1.0650
H2 -2.2609 -2.7019 -0.0350
H3 1.2237 2.9395 -1.9938
H4 1.7421 3.5487 -0.5075
H5 2.0134 1.9254 -0.9906
H6 -0.7793 1.9455 -1.0497
H7 -0.4073 3.0314 0.3569
H8 -0.0923 -0.2749 1.0156
H9 0.5423 -1.0583 -0.6181

***

HIN3P | ωB97M-V/def2-TZVPD

Values from the calculation:
energy = -803.79789 Ha
SMILES string = [H]/N=N/N=P\I
energy above the lowest of the compared OMol25 structures with the same formula, charge and spin = 406.6 kJ/mol
frontier orbital gap = 7.17 eV

Cartesian coordinates (Å):
H1 1.4025 -1.6255 -0.3224
N1 1.1722 -0.9094 0.4539
N2 0.7833 0.1262 0.0575
N3 0.4068 1.2434 -0.0137
P1 -1.4276 1.7227 -0.0340
I1 -2.3371 -0.5575 -0.1414

***

C10H10BClF4V | ωB97M-V/def2-TZVPD

Values from the calculation:
spin multiplicity = 3
energy = -2215.85604 Ha
total charge = -1
energy above the lowest of the compared OMol25 structures with the same formula, charge and spin = 0.0 kJ/mol
frontier orbital gap (spin up / spin down) = 7.02 / 7.33 eV

Cartesian coordinates (Å):
C1 0.9728 -1.5347 0.9889
C2 0.9805 -1.7170 -0.4473
C3 -0.4022 -1.8413 -0.8621
H1 1.8327 -1.8672 -1.0939
C4 -1.2457 -1.5556 0.2823
C5 -0.3704 -1.4185 1.4001
H2 -0.6862 -1.3136 2.4262
H3 1.8038 -1.5704 1.6817
H4 -0.7478 -2.2325 -1.8185
H5 -2.3381 -1.6351 0.3185
V1 0.0190 0.3889 -0.7239
Cl1 1.3901 1.3435 0.7334
C6 0.1192 2.2676 -1.7839
C7 -1.1114 1.5904 -2.0769
C8 -0.7845 0.3467 -2.7002
H6 -2.1085 1.9757 -1.8888
C9 0.6432 0.2058 -2.7182
C10 1.2072 1.4076 -2.1814
H7 2.2698 1.6375 -2.1322
H8 0.2035 3.2600 -1.3529
H9 -1.5009 -0.3457 -3.1289
H10 1.2127 -0.6220 -3.1310
F1 -0.7078 1.8482 3.3905
B1 -0.2759 0.6621 4.0470
F2 -1.2416 -0.3961 3.8709
F3 0.9649 0.2064 3.4684
F4 -0.0984 0.9094 5.4321

***

C30H60O30 | ωB97M-V/def2-TZVPD

Values from the calculation:
energy = -3436.13365 Ha
SMILES string = COC(=O)OC.COC(=O)OC.COC(=O)OC.COC(=O)OC.COC(=O)OC.COC(=O)OC.COC(=O)OC.COC(=O)OC.COC(=O)OC.COC(=O)OC
energy above the lowest of the compared OMol25 structures with the same formula, charge and spin = 568.4 kJ/mol
frontier orbital gap = 10.37 eV

Cartesian coordinates (Å):
C1 4.1654 -2.8137 -2.2139
O1 5.1718 -2.0442 -1.5220
C2 6.2349 -1.6406 -2.2407
O2 6.4389 -1.8434 -3.4230
O3 7.2148 -1.1634 -1.4151
C3 6.9894 -0.5719 -0.1243
H1 3.3116 -2.9622 -1.5528
H2 4.6706 -3.7159 -2.5587
H3 3.6667 -2.2926 -3.0311
H4 7.9587 -0.3114 0.3008
H5 6.3723 -1.2044 0.5138
H6 6.3174 0.2709 -0.2860
C4 -5.3529 6.0642 3.3964
O4 -6.0779 5.2010 2.5210
C5 -6.8988 4.1625 2.9711
O5 -7.2589 3.9957 4.0856
O6 -7.1453 3.4245 1.9447
C6 -7.5964 2.1280 2.1649
H7 -5.8454 6.9755 3.7358
H8 -4.4416 6.3244 2.8580
H9 -4.9459 5.6368 4.3128
H10 -7.3512 1.5111 1.3005
H11 -8.6647 2.2506 2.3438
H12 -7.1608 1.6308 3.0316
C7 6.0350 -5.6907 3.0474
O7 5.5610 -6.1172 1.7636
C8 4.5259 -7.0460 1.6422
O8 3.8470 -7.5837 2.5203
O9 4.3533 -7.2331 0.3582
C9 3.4286 -8.1330 -0.3254
H13 5.3597 -4.9725 3.5125
H14 6.9629 -5.1252 3.1330
H15 6.2197 -6.5776 3.6535
H16 3.5702 -9.1926 -0.1126
H17 3.2735 -8.0187 -1.3982
H18 2.4472 -7.9795 0.1233
C10 -2.1531 0.6932 -0.2266
O10 -1.3297 0.1060 0.7847
C11 -0.0006 0.2412 0.7559
O11 0.6714 0.7182 -0.1754
O12 0.4091 -0.2908 1.9271
C12 1.7838 -0.2491 2.2028
H19 -2.3920 1.6604 0.2156
H20 -3.0520 0.1627 -0.5407
H21 -1.5356 0.9095 -1.0984
H22 2.1779 0.7062 2.5494
H23 2.3764 -0.6228 1.3678
H24 1.7968 -1.0136 2.9797
C13 -5.5977 -6.8078 6.0924
O13 -4.6652 -6.2546 5.1833
C14 -4.8186 -4.9633 4.6944
O14 -5.7773 -4.2549 4.9693
O15 -3.7853 -4.5854 3.8473
C15 -2.6503 -5.4673 3.5830
H25 -5.6062 -7.8953 6.0182
~~~
Now transcribe the calculation results above without additions.
C4H9O2S | ωB97M-V/def2-TZVPD

Values from the calculation:
energy = -706.28438 Ha
total charge = -1
energy above the lowest of the compared OMol25 structures with the same formula, charge and spin = 692.0 kJ/mol
frontier orbital gap (spin up / spin down) = 6.57 / 5.19 eV

Cartesian coordinates (Å):
C1 -1.8000 -2.4351 0.8690
C2 1.2668 2.7257 -0.9124
C3 -0.0414 2.3855 -0.3951
C4 0.1373 -1.1188 0.3984
O1 0.2513 -3.1722 2.1812
O2 0.3086 -3.6531 -0.2374
S1 -0.1039 -2.7749 0.8536
H1 -2.0003 -1.3125 1.0650
H2 -2.2609 -2.7019 -0.0350
H3 1.2237 2.9395 -1.9938
H4 1.7421 3.5487 -0.5075
H5 2.0134 1.9254 -0.9906
H6 -0.7793 1.9455 -1.0497
H7 -0.4073 3.0314 0.3569
H8 -0.0923 -0.2749 1.0156
H9 0.5423 -1.0583 -0.6181

***

HIN3P | ωB97M-V/def2-TZVPD

Values from the calculation:
energy = -803.79789 Ha
SMILES string = [H]/N=N/N=P\I
energy above the lowest of the compared OMol25 structures with the same formula, charge and spin = 406.6 kJ/mol
frontier orbital gap = 7.17 eV

Cartesian coordinates (Å):
H1 1.4025 -1.6255 -0.3224
N1 1.1722 -0.9094 0.4539
N2 0.7833 0.1262 0.0575
N3 0.4068 1.2434 -0.0137
P1 -1.4276 1.7227 -0.0340
I1 -2.3371 -0.5575 -0.1414

***

C10H10BClF4V | ωB97M-V/def2-TZVPD

Values from the calculation:
spin multiplicity = 3
energy = -2215.85604 Ha
total charge = -1
energy above the lowest of the compared OMol25 structures with the same formula, charge and spin = 0.0 kJ/mol
frontier orbital gap (spin up / spin down) = 7.02 / 7.33 eV

Cartesian coordinates (Å):
C1 0.9728 -1.5347 0.9889
C2 0.9805 -1.7170 -0.4473
C3 -0.4022 -1.8413 -0.8621
H1 1.8327 -1.8672 -1.0939
C4 -1.2457 -1.5556 0.2823
C5 -0.3704 -1.4185 1.4001
H2 -0.6862 -1.3136 2.4262
H3 1.8038 -1.5704 1.6817
H4 -0.7478 -2.2325 -1.8185
H5 -2.3381 -1.6351 0.3185
V1 0.0190 0.3889 -0.7239
Cl1 1.3901 1.3435 0.7334
C6 0.1192 2.2676 -1.7839
C7 -1.1114 1.5904 -2.0769
C8 -0.7845 0.3467 -2.7002
H6 -2.1085 1.9757 -1.8888
C9 0.6432 0.2058 -2.7182
C10 1.2072 1.4076 -2.1814
H7 2.2698 1.6375 -2.1322
H8 0.2035 3.2600 -1.3529
H9 -1.5009 -0.3457 -3.1289
H10 1.2127 -0.6220 -3.1310
F1 -0.7078 1.8482 3.3905
B1 -0.2759 0.6621 4.0470
F2 -1.2416 -0.3961 3.8709
F3 0.9649 0.2064 3.4684
F4 -0.0984 0.9094 5.4321

***

C30H60O30 | ωB97M-V/def2-TZVPD

Values from the calculation:
energy = -3436.13365 Ha
SMILES string = COC(=O)OC.COC(=O)OC.COC(=O)OC.COC(=O)OC.COC(=O)OC.COC(=O)OC.COC(=O)OC.COC(=O)OC.COC(=O)OC.COC(=O)OC
energy above the lowest of the compared OMol25 structures with the same formula, charge and spin = 568.4 kJ/mol
frontier orbital gap = 10.37 eV

Cartesian coordinates (Å):
C1 4.1654 -2.8137 -2.2139
O1 5.1718 -2.0442 -1.5220
C2 6.2349 -1.6406 -2.2407
O2 6.4389 -1.8434 -3.4230
O3 7.2148 -1.1634 -1.4151
C3 6.9894 -0.5719 -0.1243
H1 3.3116 -2.9622 -1.5528
H2 4.6706 -3.7159 -2.5587
H3 3.6667 -2.2926 -3.0311
H4 7.9587 -0.3114 0.3008
H5 6.3723 -1.2044 0.5138
H6 6.3174 0.2709 -0.2860
C4 -5.3529 6.0642 3.3964
O4 -6.0779 5.2010 2.5210
C5 -6.8988 4.1625 2.9711
O5 -7.2589 3.9957 4.0856
O6 -7.1453 3.4245 1.9447
C6 -7.5964 2.1280 2.1649
H7 -5.8454 6.9755 3.7358
H8 -4.4416 6.3244 2.8580
H9 -4.9459 5.6368 4.3128
H10 -7.3512 1.5111 1.3005
H11 -8.6647 2.2506 2.3438
H12 -7.1608 1.6308 3.0316
C7 6.0350 -5.6907 3.0474
O7 5.5610 -6.1172 1.7636
C8 4.5259 -7.0460 1.6422
O8 3.8470 -7.5837 2.5203
O9 4.3533 -7.2331 0.3582
C9 3.4286 -8.1330 -0.3254
H13 5.3597 -4.9725 3.5125
H14 6.9629 -5.1252 3.1330
H15 6.2197 -6.5776 3.6535
H16 3.5702 -9.1926 -0.1126
H17 3.2735 -8.0187 -1.3982
H18 2.4472 -7.9795 0.1233
C10 -2.1531 0.6932 -0.2266
O10 -1.3297 0.1060 0.7847
C11 -0.0006 0.2412 0.7559
O11 0.6714 0.7182 -0.1754
O12 0.4091 -0.2908 1.9271
C12 1.7838 -0.2491 2.2028
H19 -2.3920 1.6604 0.2156
H20 -3.0520 0.1627 -0.5407
H21 -1.5356 0.9095 -1.0984
H22 2.1779 0.7062 2.5494
H23 2.3764 -0.6228 1.3678
H24 1.7968 -1.0136 2.9797
C13 -5.5977 -6.8078 6.0924
O13 -4.6652 -6.2546 5.1833
C14 -4.8186 -4.9633 4.6944
O14 -5.7773 -4.2549 4.9693
O15 -3.7853 -4.5854 3.8473
C15 -2.6503 -5.4673 3.5830
H25 -5.6062 -7.8953 6.0182